September 16, 2020 Executive Committee Meeting

# The entry is interrupted by data records
~~~
Record 1
Below is C9H7Br2ClN2 as an isolated structure in a non-equilibrium geometry, with properties calculated with the ωB97M-V functional and the def2-TZVPD basis.

Computed properties:
Largest force on an atom = 2.9 eV/Å
E = -6064.70338 Eh
HOMO level (alpha / beta) = -8.395 / -7.312 eV

Geometry as ORCA input:
```
! wB97M-V def2-TZVPD RIJCOSX def2/J DEFGRID3
* xyz 0 1
C -2.45728 -2.40394 0.73447
C -2.55202 -1.01814 0.81469
C -1.24856 -2.97593 0.38381
C -1.53722 -0.24950 0.31163
C -0.31397 -0.94294 -0.04578
C 2.21091 1.69922 -0.47980
C 3.55430 1.43254 -0.19849
C 0.91470 1.03041 -0.61974
C 4.33169 0.31106 0.10515
N -0.18472 -2.28674 0.07762
N 0.80617 -0.30878 -0.32130
Cl -1.89461 1.45265 0.40085
Br 6.23396 0.40008 0.39787
Br 3.67814 -1.39186 -0.14761
H -3.27115 -2.93417 1.02571
H -3.45710 -0.41863 1.11478
H -0.99231 -3.97302 0.30180
H 2.21985 2.73068 -0.86102
H 4.23451 2.38520 -0.23704
H 0.07717 1.66134 -0.32096
H 0.96924 1.04803 -1.82572
*
```

Results of the Löwdin charge analysis, in e, for atoms 1 through 5: atom 1 (C): -0.03, atom 2 (C): -0.12, atom 3 (C): -0.13, atom 4 (C): -0.52, atom 5 (C): -0.35

Record 2
Below is a 2-piece molecular cluster, C9H7BrO overall in a non-equilibrium geometry, with properties calculated with the ωB97M-V functional and the def2-TZVPD basis.

Computed properties:
Largest force on an atom = 3.9 eV/Å
E = -2996.09166 Eh
HOMO level = -8.827 eV

Geometry as ORCA input:
```
! wB97M-V def2-TZVPD RIJCOSX def2/J DEFGRID3
* xyz 0 1
C -1.98625 2.90268 0.60522
C -1.89920 1.71831 -0.04358
C 2.50497 -0.61290 0.32763
C 2.16568 0.10593 -0.82213
C 1.47747 -1.23304 1.07260
C 0.90073 0.12582 -1.25427
C 0.20759 -1.29635 0.52592
C -0.15249 -0.47368 -0.56845
C -1.52327 -0.21916 -0.97863
O -2.02469 1.51583 1.41061
Br -3.05025 -1.25412 -0.27180
H 3.49761 -0.38988 0.67340
H 2.83136 0.81958 -1.22906
H 1.77689 -1.66571 2.09138
H 0.52700 0.68285 -2.11023
H -0.64186 -2.02283 0.99870
H -1.59900 -0.04475 -2.03212
H -3.01228 1.34141 1.60483
*
```

Results of the Löwdin charge analysis, in e, for atoms 1 through 5: atom 1 (C): 0.03, atom 2 (C): -0.17, atom 3 (C): -0.06, atom 4 (C): -0.09, atom 5 (C): -0.08
~~~
# The data records stop here


Illinois Juvenile Justice Commission Executive Committee Members and Staff. The public is welcome to attend.

### Unrelated to this text: records of molecules
- - -
1.
Formula: C43H101F3N6O3
Source: OMol25
Level of theory: wB97M-V/def2-TZVPD

```
156
Properties=species:S:1:pos:R:3:lowdin_charge:R:1
C 16.350 -10.272 7.670 -0.1120
C 17.072 -9.953 6.403 -0.2526
N 16.010 -9.353 5.540 -0.1925
C 15.962 -9.825 4.165 -0.2383
C 15.350 -11.273 4.224 -0.0793
C 16.046 -7.912 5.733 -0.2647
C 17.164 -7.233 4.925 -0.0967
H 15.543 -10.981 7.484 0.0699
H 15.780 -9.452 8.106 0.0715
H 17.008 -10.702 8.426 0.0715
H 17.906 -9.330 6.727 0.1039
H 17.559 -10.829 5.973 0.1123
H 15.461 -9.213 3.415 0.1167
H 16.998 -9.901 3.835 0.0997
H 14.331 -11.217 4.608 0.0678
H 15.304 -11.730 3.235 0.0587
H 15.896 -11.993 4.832 0.0596
H 16.044 -7.472 6.730 0.1128
H 15.155 -7.393 5.378 0.1011
H 17.261 -7.539 3.884 0.0654
H 18.111 -7.437 5.425 0.0576
H 17.060 -6.157 5.067 0.0691
C 18.243 -16.873 2.370 -0.0949
C 17.760 -17.709 1.210 -0.2595
N 18.520 -17.224 0.037 -0.2036
C 17.613 -17.077 -1.165 -0.2236
C 17.211 -18.374 -1.876 -0.0978
C 19.875 -17.733 -0.072 -0.2387
C 20.816 -16.682 -0.786 -0.0803
H 18.231 -15.832 2.045 0.0812
H 19.225 -17.228 2.683 0.0622
H 17.666 -16.887 3.295 0.0642
H 17.787 -18.797 1.270 0.1099
H 16.722 -17.452 1.001 0.1032
H 16.643 -16.657 -0.902 0.0990
H 18.103 -16.483 -1.937 0.0966
H 17.893 -18.505 -2.716 0.0651
H 17.208 -19.203 -1.168 0.0681
H 16.207 -18.273 -2.287 0.0664
H 19.934 -18.745 -0.473 0.1055
H 20.382 -17.771 0.892 0.0966
H 20.484 -16.424 -1.792 0.0494
H 21.833 -17.071 -0.829 0.0631
H 20.790 -15.687 -0.341 0.0678
C 13.855 -17.390 7.758 -0.0659
C 12.738 -17.303 6.631 -0.2477
N 11.544 -18.021 6.991 -0.1878
C 10.648 -18.041 5.812 -0.2762
C 11.112 -19.081 4.863 -0.1196
C 10.832 -17.450 8.128 -0.2668
C 9.841 -18.329 8.895 -0.0810
H 13.981 -18.389 8.176 0.0712
H 13.570 -16.727 8.575 0.0504
H 14.884 -17.209 7.447 0.0602
H 12.489 -16.337 6.192 0.1122
H 13.185 -17.801 5.771 0.0909
H 9.635 -18.392 6.004 0.1164
H 10.631 -17.114 5.238 0.1141
H 11.177 -20.040 5.377 0.0823
H 10.452 -19.315 4.028 0.0744
H 12.073 -18.767 4.455 0.0613
H 10.389 -16.503 7.819 0.1168
H 11.565 -17.145 8.876 0.0925
H 10.151 -19.358 9.080 0.0745
H 8.837 -18.330 8.471 0.0618
H 9.805 -17.840 9.868 0.0661
C 26.417 -10.164 1.407 -0.0769
C 25.076 -10.933 1.800 -0.2145
N 24.224 -9.868 2.441 -0.1758
C 22.788 -10.054 2.216 -0.2536
C 22.515 -9.630 0.773 -0.0856
C 24.407 -10.098 3.820 -0.3204
C 23.837 -8.928 4.691 -0.0814
H 26.050 -9.581 0.563 0.0609
H 27.297 -10.749 1.138 0.0599
H 26.753 -9.547 2.240 0.0602
H 24.591 -11.324 0.906 0.0975
H 25.475 -11.731 2.426 0.0994
H 22.279 -9.234 2.722 0.0924
H 22.312 -10.890 2.730 0.1228
H 23.237 -9.980 0.036 0.0585
H 22.464 -8.548 0.648 0.0746
H 21.526 -9.939 0.435 0.0684
H 24.048 -11.031 4.256 0.1146
H 25.462 -10.082 4.095 0.1069
H 22.751 -8.845 4.660 0.0530
H 24.316 -9.002 5.667 0.0672
H 24.096 -7.932 4.331 0.0716
C 21.205 -1.338 6.995 -0.0934
C 20.734 -1.973 5.647 -0.2041
N 21.676 -1.518 4.552 -0.2041
C 21.740 -0.048 4.359 -0.2240
C 23.153 0.378 3.739 -0.0663
C 21.494 -2.210 3.345 -0.2750
C 20.137 -1.900 2.588 -0.0719
- - -


September 16, 2020, 10:30am to 12:00pm



  1. Call to Order
  2. Roll Call, Welcome & Overview
  3. Financial Report
  4. Committee and Work Group Status Updates
    1. Planning & Grants
    2. Racial & Ethnic Disparities
    3. Youth Engagement
    4. JISC
  5. Compliance Monitoring
  6. Three Year Planning Process
  7. Public Comment
  8. Adjourn


  1. Call to Order
    Meeting was called to order at 10:36am. 
  2. Welcome, Roll Call & Overview
    Members: Julie Biehl, Ja'Vaune Jackson, Lisa Jacobs, Era Laudermilk, Briana Payton, Rick Velasquez. Staff/Guests: Andrea Hall, Dick Walsh, Katy Culleeny,  Hannah Bonner, Sosina Tesema.
    Chairman Rick Velasquez gave a brief history and overview of the functions and expectations for the executive committee and commission.
    Mr. Velasquez explained how in the past year, and since Andrea Hall's appointment as the Executive Director, they have been able to refine their direction and add several new members. There is opportunity to review the bylaws, as they were last revised in 1988. Mr. Velasquez expressed the desire to grow the executive committee membership, including co-chairs for other new and standing committees. Co-chairs, as opposed to a single chair, allows for flexibility and continuity in the work. Until more committees are created, the executive committee will serve as a catch-all for other areas, including compliance. The executive committee is otherwise responsible for applications made to the Office of Juvenile Justice and Delinquency Prevention (OJJDP), opposing amendments to by-laws, and reviewing adverse reactions.
    Lisa Jacobs, Vice Chair, also noted that the executive committee functions almost entirely at the direction of the full commission. The exception being if decisions needed to be made in between full meetings. Mr. Velasquez and Ms. Jacobs discussed how this was not explicit in the by-laws, but that the executive committee has operated more narrowly than the by-laws have allowed in the past.
    Mr. Velasquez expressed that in future executive meetings, there will be a standard report and opportunities to discuss bigger umbrella issues, such as finances. Additionally, the executive committee will get a sense of the progress of other committees and create the agenda for the upcoming full commission meeting.
  3. Financial Report
    Andrea Hall, Executive Director, updated committee members on current expenditures and status of federal funds.
  4. Committee and Work Group Status Updates
    1. Planning & Grants
      Ms. Jacobs explained how the Planning & Grants committee is not as busy this year due to the fact all grants were non-competitive this year, as decided by Illinois Department of Human Services (DHS), in response to the Coronavirus pandemic. In a normal year, the committee would recommend for priorities for funding and review Request for Providers (RFP's). At this time, it is unknown if a Notice of Funding Opportunity (NOFO) will be released in February or March., if it is, it will be the responsibility of the Planning & Grants Committee.
      Mr. Velasquez added that while the funding for sites was automatically continued, the Planning and Grants committee still met to review applications and place contracts. Mr. Velasquez also discussed the possibility for interim funding and additional NOFO's. Ms. Jacobs acknowledged that this has been difficult if not impossible to do in the past because of DHS and is why Illinois Collaboration on Youth has been brough in as a contracting agency. 
    2. Racial & Ethnic Disparities
      Mr. Velasquez invited Era Laudermilk and Ms. Hall to update the committee members on the work of the Racial and Ethnic Disparities committee.
      Ms. Laudermilk let the group know that the committee is still in planning stages, looking to invite new members and possibly a new co-chair. Ms. Laudermilk highlighted some next steps, including brainstorming on mission and goals, ideas for programming and data needed.
      Ms. Hall elaborated, explaining how the committee was looking to invite more members, both internal and external, work on statewide data collection with potential partnership from the Illinois Criminal Justice Information Authority (ICJIA) and possibly a new name. In response to a question from Briana Payton, Ms. Laudermilk explained that a name change is necessary as the pronunciation of RED, as an abbreviation for Racial & Ethnic Disparities, is offensive to many Native Americans.
    3. Youth Engagement
      Mr. Velasquez invited Ms. Payton to give updates on the Youth Engagement Committee.
      Ms. Payton explained that they held a preliminary meeting to understand youth engagement work done by the commission in the past. Ms. Payton and her Co-chair Ja'Vaune Jackson would like for the work going forward to be more consistent and integrated, and less project based. Ms. Payton and Mr. Jackson would like to move forward with a youth council that includes justice-involved youth. Ms. Payton asked other committee members to please send referrals for people would be able and willing to join the committee.  
    4. JISC
      Ms. Jacobs updated the committee members on the research paper the Commission would soon be publishing. The paper will cover what effective deflection and diversion practices exist, taking an informational approach by providing analysis and recommendations with less focus and commentary on the Juvenile Intervention & Support Center (JISC) specifically. Mr. Velasquez expressed his gratitude for such knowledgeable and committed Commissioners, emphasizing how this is a proud moment for the Commission.
      Ms. Laudermilk expressed the desire to ensure that the paper, while academic, could be accessible to the public, either by creating a fact sheet or contacting someone who could use the paper to write an opinion piece.
  5. Compliance Monitoring
    Mr. Velasquez and Ms. Hall discussed a recent revival of a past audit by the new OJJDP liaison regarding compliance. Ms. Jacobs asked if the issue was in regard to sight and sound violations and the OJJDP liaison's past request to inspect adult facilities as the Commission previously provided a legal memorandum as to why this is not necessary in Illinois due to the fact youth are never held in adult prisons. Ms. Hall let committee members know there would be more information soon.
    Mr. Velasquez and Dick Walsh, Compliance Monitor, briefly discussed the process and procedures for correcting violation errors. Mr. Walsh expressed that explicit permission is required from the Department of Corrections to collect the data and provide technical assistance in person.
  6. Three Year Planning Process
    Ms. Hall updated the group on the ongoing three-year planning process. The responses to the presentations from external stakeholders were overall positive. Questions submitted for speakers were passed along and responses will be shared. Next steps include gathering budget and juvenile justice data and that there may be another meeting for planning.
  7. Public Comment
    There was no public comment.
  8. Adjourn
    Ms. Jacobs moved adjourning. Ms. Laudermilk seconded the motion. Meeting Adjourned 12:15pm.